C.diff associated diarrhoea
Diarrhoea caused by Clostridium difficile, which remains an issue in hospital settings, has been the focus of Cochrane Collaboration scientists, who now suggest that taking probiotics at the same time as antibiotics could help to maintain a healthy balance of bacteria in the gut, particularly as antibiotics can disturb the ecosystem of organisms normally present in the digestive system.
Attached: calculated crystals:
~~~
# 1
The following is a PBE-GGA calculation of Cs2Pr2SeO3 after structural relaxation, from the Open Quantum Materials Database.

The total magnetization comes out at 0.0 μB/cell. The total energy is -0.21734 Ha/atom.

The structure belongs to space group P3m1 (No. 156); the cell edges are 3.8396, 3.8396 and 14.6417 Å and the angles 90.00°, 90.00° and 120.00°. The inequivalent atoms are Cs at (0.0000, 0.0000, 0.0000), Cs at (0.3333, 0.6667, 0.5390), Pr at (0.6667, 0.3333, 0.2355), Pr at (0.6667, 0.3333, 0.7721), Se at (0.0000, 0.0000, 0.3664), O at (0.0000, 0.0000, 0.6992), O at (0.3333, 0.6667, 0.1647) and O at (0.3333, 0.6667, 0.8556).

# 2
The following is a PBE-GGA calculation of CsPrTeO after structural relaxation, from the Open Quantum Materials Database.

The total magnetization comes out at 0.0 μB/cell. The energy above the most stable polymorph in this dataset comes out at 0 meV per atom.

The structure belongs to space group P2_1/c (No. 14); the cell edges are 9.749, 7.842 and 7.021 Å and the angles 90.00°, 98.65° and 90.00°. The inequivalent atoms are Cs at (0.129, 0.091, 0.333), Pr at (0.490, 0.638, 0.789), Te at (0.259, 0.574, 0.379) and O at (0.431, 0.140, 0.387).

# 3
The following is a PBE-GGA calculation of CsPrTeO after structural relaxation, from the Open Quantum Materials Database.

The total magnetization comes out at 0.0 μB/cell. The energy above the most stable polymorph in this dataset comes out at 301 meV per atom.

The structure belongs to space group P4/nmm (No. 129, origin choice 2); the cell edges are 4.586, 4.586 and 11.055 Å and the angles 90.00°, 90.00° and 90.00°. The inequivalent atoms are Cs at (0.250, 0.750, 0.000), Pr at (0.250, 0.250, 0.419), Te at (0.250, 0.250, 0.751) and O at (0.250, 0.750, 0.500).

# 4
The following is a PBE-GGA calculation of CsPrTeO after structural relaxation, from the Open Quantum Materials Database.

The total magnetization comes out at 0.0 μB/cell. The energy above the most stable polymorph in this dataset comes out at 150 meV per atom.

The structure belongs to space group Pmc2_1 (No. 26); the cell edges are 5.078, 9.164 and 7.370 Å and the angles 90.00°, 90.00° and 90.00°. The inequivalent atoms are Cs at (0.000, 0.207, 0.000), Pr at (0.500, 0.392, 0.416), Te at (0.000, 0.208, 0.505) and O at (0.500, 0.426, 0.114).

# 5
The following is a PBE-GGA calculation of Cs2PrYO4 after structural relaxation, from the Open Quantum Materials Database.

The total magnetization comes out at 0.0 μB/cell. The total energy is -0.24341 Ha/atom.

The structure belongs to space group P-3m1 (No. 164); the cell edges are 3.6056, 3.6056 and 13.6153 Å and the angles 90.00°, 90.00° and 120.00°. The inequivalent atoms are Cs at (0.3333, 0.6667, 0.2465), Pr at (0.0000, 0.0000, 0.5000), Y at (0.0000, 0.0000, 0.0000), O at (0.3333, 0.6667, 0.5904) and O at (0.3333, 0.6667, 0.9189).

# 6
The following is a PBE-GGA calculation of Cs2Pt2O5 after structural relaxation, from the Open Quantum Materials Database.
~~~
The calculated crystals stop here:

Although some people infected with C.diff show no symptoms, others suffer diarrhoea, colitis or, if severe, even death.
With data from 23 randomised trials involving 4,213 patients who were on antibiotic treatment for a variety of reasons examined, the review team found that 2% of patients given probiotics developed C.diff-associated diarrhoea compared with 6% of patients in the control group (typically taking placebos).
Dr Bradley Johnston, Assistant Professor at the Institute for Health Policy, Management and Evaluation at the University of Toronto and part of the Cochrane team, said: ‘Our systematic review was the first to show that some probiotics agents are both safe and effective for the primary prevention of C.diff associated diarrhoea. The pooled estimate in terms of reduced risk of C.diff associated diarrhoea was 64%.’
The researchers explored whether different probiotic species could explain the results, or whether dose was a factor. ‘We did not find any statistically significant difference based on probiotic species or dose but did find a trend to suggest that multiple species and higher dose (at least 10 billion colony forming units per day) seems to be more effective than lower dose,’ explained Dr Johnston. ‘A viable dose may be one of the most important factors when considering a probiotic agent, though there still needs to be more work on that.’
He believes implementing the appropriate dose and strains of probiotics in hospitals could provide cost savings and improve quality of life, although he accepts some clinicians may be nervous about giving live bacteria to patients, especially if they have multiple co-morbidities. ‘If patients are immune-compromised,’ he said, ‘we suggest there’s not enough evidence yet to use it in this population, but it looks like certain probiotic agents are safe in otherwise healthy adults and children.’
C.diff associated diarrhoea, especially in older adults, is a huge issue in many hospitals and nursing homes, he added, pointing to data from University of Ottawa that suggests as many as one in 10 individuals who contract C.diff die from the complications of severe diarrhoea. ‘For those who acquire C.diff, it has a major impact on patients’ quality of life; and the cost of treating such cases is substantial, with the average being around $10,000 per case,’ Dr Johnston pointed out.
### Calculated crystals, kept here for reference
'''
Record 1
Material: ErI4
Method: DFT, PBE-GGA
State: optimized geometry

DFT total energy: -64.5 eV for the cell shown

Geometry as CIF:
```
data_ErI4
_cell_length_a 7.739
_cell_length_b 13.208
_cell_length_c 10.164
_cell_angle_alpha 90.00
_cell_angle_beta 97.58
_cell_angle_gamma 90.00
_symmetry_space_group_name_H-M 'C 1 2/m 1'
_symmetry_Int_Tables_number 12
_symmetry_space_group_name_Hall '-C 2y'
loop_
_atom_site_label
_atom_site_fract_x
_atom_site_fract_y
_atom_site_fract_z
Er1 0.000 0.172 0.000
I1 0.101 0.000 0.827
I2 0.150 0.500 0.443
I3 0.156 0.318 0.822
```

***

Record 2
Material: BaNdAgTeSe2
Method: DFT, PBE-GGA
State: optimized geometry

DFT total energy: -113.1 eV for the cell shown

Geometry as CIF:
```
data_BaNdAgTeSe2
_cell_length_a 4.374
_cell_length_b 14.950
_cell_length_c 11.490
_cell_angle_alpha 90.00
_cell_angle_beta 90.00
_cell_angle_gamma 90.00
_symmetry_space_group_name_H-M 'C m c m'
_symmetry_Int_Tables_number 63
_symmetry_space_group_name_Hall '-C 2c 2'
loop_
_atom_site_label
_atom_site_fract_x
_atom_site_fract_y
_atom_site_fract_z
Ba1 0.000 0.227 0.250
Nd1 0.000 0.000 0.000
Ag1 0.000 0.476 0.750
Te1 0.000 0.094 0.750
Se1 0.000 0.370 0.564
```

***

Record 3
Material: Tb2NdPd3Pb3
Method: DFT, PBE-GGA
State: optimized geometry

DFT total energy: -94.4 eV for the cell shown

Geometry as CIF:
```
data_Tb2NdPd3Pb3
_cell_length_a 3.914
_cell_length_b 13.691
_cell_length_c 7.875
_cell_angle_alpha 90.00
_cell_angle_beta 90.00
_cell_angle_gamma 90.00
_symmetry_space_group_name_H-M 'A m m 2'
_symmetry_Int_Tables_number 38
_symmetry_space_group_name_Hall 'A 2 -2'
loop_
_atom_site_label
_atom_site_fract_x
_atom_site_fract_y
_atom_site_fract_z
Tb1 0.000 0.201 0.000
Nd1 0.000 0.000 0.397
Pd1 0.000 0.000 0.802
Pd2 0.500 0.169 0.298
Pb1 0.500 0.000 0.062
Pb2 0.500 0.133 0.670
```

***

Record 4
Material: Pr2Zn5Ni5
Method: DFT, PBE-GGA
State: optimized geometry

ΔE_f: -362 meV per atom
DFT total energy: -48.1 eV for the cell shown

Geometry as CIF:
```
data_Pr2Zn5Ni5
_cell_length_a 4.065
_cell_length_b 5.230
_cell_length_c 8.975
_cell_angle_alpha 90.00
_cell_angle_beta 90.00
_cell_angle_gamma 90.00
_symmetry_space_group_name_H-M 'P m m m'
_symmetry_Int_Tables_number 47
_symmetry_space_group_name_Hall '-P 2 2'
loop_
_atom_site_label
_atom_site_fract_x
_atom_site_fract_y
_atom_site_fract_z
Pr1 0.000 0.000 0.000
Pr2 0.000 0.500 0.500
Zn1 0.500 0.000 0.500
Zn2 0.500 0.253 0.244
Ni1 0.000 0.000 0.333
Ni2 0.000 0.500 0.159
Ni3 0.500 0.500 0.000
```

***

Record 5
Material: HgPtNO
Method: DFT, PBE-GGA
State: optimized geometry

energy above the most stable polymorph in this dataset: 11.09 kJ/mol of atoms
DFT total energy: -34.2 eV for the cell shown

Geometry as CIF:
```
data_HgPtNO
_cell_length_a 3.376
_cell_length_b 6.103
_cell_length_c 6.266
_cell_angle_alpha 90.00
_cell_angle_beta 90.00
_cell_angle_gamma 90.00
_symmetry_space_group_name_H-M 'P m c 21'
_symmetry_Int_Tables_number 26
_symmetry_space_group_name_Hall 'P 2c -2'
loop_
'''
The review also showed that people taking probiotics had fewer unwanted side-effects than those on placebos, including stomach cramps, nausea and taste disturbances.
The Cochrane team acknowledge that the total number of patients studied has been relatively small. However, a randomised trial (pub: The Lancet) on lactobacilli and bifido bacteria in the prevention of antibiotic-associated diarrhoea and Clostridium difficile diarrhoea in older inpatients (PLACIDE), with some 3,000 patients involved from five centres in the UK, appears to add weight to the Cochrane Collaboration findings. ‘Although the results were non-significant, when we pool the Lancet data with the previous trial data, the pooled estimate for C.diff diarrhoea suggests a risk reduction of approximately 60%, Dr Johnston said.
The baseline risk of C.diff diarrhoea is critical when considering the use of these agents, he suggested. The Lancet trial had a very low baseline risk, which might help explain why the results were non-significant. In a hospital where there is an outbreak of C.diff diarrhoea, he pointed out, prescribing certain probiotic agents at certain doses has the potential to have an immediate impact on preventing hospital acquired C.diff diarrhoea, as well as providing cost savings.
Some Canadian hospitals are already looking closely at this data and considering implementation of probiotics in outbreak settings.
Dr Johnston suggested a next step is for large head-to-head randomised trials to establish which probiotic agents work best in otherwise healthy adults. Additional work needs to be completed on the safety of probiotic agents in immune-compromised patients, and those with serious and multiple co-morbidities.
Bradley Johnston MD is a scientist with Child Health Evaluative Sciences at The Hospital for Sick Children Research Institute and an assistant professor at the Institute of Health Policy, Management and Evaluation of the University of Toronto.